Part 1: History: The Problems Are Inherent
The U.S. constitution established a federal system of “dual authority” incorporating both national and state sovereignty. The product of a series of political accommodations made at the 1787 Constitutional Convention, federalism was designed as an opportunistic political battlefield with ambiguous boundaries, one that makes it possible to displace substantive policy conflicts with perpetual quarrels over the division between state and national power. In other words, federalism has involved — and continues to involve — clashes over which level of government should control which tools of public policy and how each level should use those tools to govern. Moreover, decisions about which level of government should be in charge of which responsibilities are never politically neutral, for the balance of political forces and incentives may be very different in the national arena, a particular state, and any given locality.
![]() Gulfport, Mississippi (Hurricane Katrina 2005) |
People sculling down a flooded street might well have been the last image that the late North Carolina governor and U.S. Senator Terry Sanford had in mind when he coined the phrase rowboat federalism in 1967. Contrasting this notion to theories emphasizing competition between national and state governments, Sanford maintained that “the governments are all in the same boat, tossed by the same waves, and dependent on each other’s paddles. When any one fails to row, they all move more slowly, and the waves become more dangerous for all.” Today, however, in the post-Katrina era, there exists only tragic irony in his choice of words.
As was the case with many policy areas, disaster relief in the United States was considered a state and/or local matter — if not a private voluntary charitable one — for much of the country’s history. Thus, prior to the mid-twentieth century, congressional legislation offered only ad hoc relief in specific instances (128 of them between 1803 and 1950 for various droughts, earthquakes, fires, floods, hurricanes, and tornadoes). Such assistance was almost exclusively in kind, most often in the form of medical personnel, supplies, and transportation, rarely as direct payments to either governments or individuals. President Grover Cleveland’s explanation of an 1887 veto of emergency funds for drought victims in Texas expressed the dominant attitude: “I can find no warrant for such an appropriation in the Constitution and I do not believe that the power and duty of the General Government ought to be extended to the relief of individual suffering which is in no manner properly related to the public service or benefit. . . . Federal aid encourages the expectation of paternal care on the Government and weakens the sturdiness of our national character.”
Nevertheless, Congress began institutionalizing disaster relief in 1905, establishing a “public-private” partnership with the Red Cross and authorizing the organization to act as the federal government’s “official agency” for collection and distribution of emergency resources. Not until the 1950 Disaster Relief Act, however, did Congress create a permanent federal emergency fund, with monies initially limited to repair or replacement of government facilities and public infrastructure. Following Hurricane Camille’s devastation of the Gulf Coast in 1969 (estimated damage: $8 billion), policy was extended to cover losses sustained by individual citizens and the private sector. By the mid-1970s, the national government had assumed a substantial share of disaster relief, its portion of the total outlay having increased from 1% a quarter century earlier to over 70%.
![]() Anchorage, Alaska (Earthquake 1964)
From its beginnings, the federal “natural disaster” program was secondary to “civil defense” concerns — 1950 also witnessed passage of civil defense legislation — as preparing for nuclear war trumped preventing and mitigating the impact of domestic hazards and catastrophes. Assigned low priority and allocated little money (the initial appropriation was a miniscule $5 million), relief was placed in the hands of several Cold War agencies. Moreover, the Strangeloveans charged with “emergency management” favored “long term recovery” to immediate assistance. Patchwork and piecemeal changes followed calamities such as the 1964 Great Alaskan earthquake (aka the Good Friday earthquake; estimated damage: $2 billion), 1965’s Hurricane Betsy (estimated damage: $6 billion), and the aforementioned Camille. Unsurprisingly, confusion, disorganization, and ineptitude reigned — a circumstance that Congress did little to alleviate in 1974 when it created a federal disaster administration under the auspices of the Department of Housing and Urban Development (HUD). By the time President Jimmy Carter — reacting to widespread criticism of the federal government’s ineffective response to the Three Mile Island nuclear accident in 1979 — issued an executive order establishing the Federal Emergency Management Administration (FEMA), more than 100 government agencies had some sort of disaster relief responsibility.
Carter’s attempted consolidation and centralization of federal relief duties, which resulted in a relatively small agency with a modest budget, did not produce much in the way of improved performance. Ronald Reagan’s first FEMA director, Louis Giuffrida, was a former state commander of the California National Guard whom Reagan had assigned the task of “counter-terrorism” training when governor of that state in the early 1970s. Giuffrida, who pushed the agency towards a controversial “nuclear blast” shelter and urban evacuation plan, had previously developed contingency proposals to detain anti-Vietnam War protesters and written of the need to intern and relocate African-Americans in the event of “race riots.” Reagan’s White House, committed to “devolving” federal obligations in many policy areas to state and local governments — when not intent on their disappearance — used FEMA as a “dumping ground” for political patronage. George H.W. Bush maintained federal disaster relief’s historic Cold War mission and continued the practice of “spoils,” presiding over an agency that spent 50% of its budget on “civil defense” and housed ten times the number of political appointees of most other government agencies.
![]() Sullivan’s Island, South Carolina (Hurricane Hugo 1989)
Two 1989 events typified FEMA’s clumsiness, not to mention its callousness. First, Hurricane Hugo blew through the Caribbean and the Carolinas (estimated damage: $16 billion). Assistance was delayed in Puerto Rico when the territorial governor’s request for aid was returned because a portion of the form was incomplete. Then, having neglected — since its inception — to establish “standard operating procedures” for coordinating relief activities, the agency failed to respond to the needs of poor rural South Carolinians who went days without food and water and waited more than a week for FEMA to open an emergency operations center. Shortly thereafter, the Loma Prieta earthquake — named for the highest peak in the Santa Cruz Mountains — shook northern California (estimated damage: $12.5 billion). Here, the most vulnerable were met by the intransigence of those ostensibly responsible for helping them. Poorly paid Latino and Latina migrant workers in Salinas and Watsonville found themselves “locked out” of FEMA temporary housing if they were unable to provide documentation that they had resided at the same address for more than one month.
![]() Homestead, Florida (Hurricane Andrew 1992) |
Stung by the angry reaction to its poor performance in the post-Hugo and Loma Prieta situations, FEMA unveiled a “comprehensive response plan” in early 1992, only months, it turned out, in advance of Hurricane Andrew wiping out portions of South Florida (estimated damage: $30 billion) and the less-remembered Hurricane Iniki wreaking havoc in Hawaii (estimated damage: $4 billion). Any “preparedness” that agency officials may have thought their plan provided was undone by the magnitude of these twin storms. Additionally, the contradictions of federalism were visible in Florida as Bush 41 insisted that Governor Lawton Chiles had “dropped by ball” in not formally requesting federal help, while Chiles asserted that bureaucratic “red tape” seemed unnecessary given the televised images of destroyed buildings and devastated lives (more than 100,000 residences were either severely damaged or reduced to rubble). Disaster relief in Miami and Dade County would eventually become the largest — until Katrina — domestic peacetime military operation in U.S. history, with more than 20,000 troops deployed to the area.
![]() Figure 1. Area Impacted by the 1993 Midwest Flood |
In 1993, amidst calls to abolish FEMA following the Andrew debacle, new president Bill Clinton appointed the first director in the agency’s history with actual disaster relief experience. Under James Lee Witt, FEMA showed marked improvement in dealing with the Midwestern floods of that year (estimated damage: $20 billion) and California’s Northridge earthquake in 1994 (estimated damage: $20 billion). In contrast, however, to focusing on responding to disasters after they occur, Witt favored “natural hazard mitigation” which seeks to reduce the vulnerability of communities to potential calamities and reduce repetitive losses. Mitigation approaches run a long gamut from public awareness and education and to land-use planning and regulation. Of course, public policy in many — in fact, most — of these areas remains the domain of state and local governments. No matter, “constitutional” limits to federal mandates were consistent with the Clinton Administration’s desire to abide by David Osborne and Ted Gabler’s “reinventing government” dictum: “government should steer, not row.” In other words, Washington ought to set policy, but it should not provide services. Pursuant to this, FEMA implemented Project Impact and set out, in rowboat federalist fashion, to encourage states, localities, and businesses to become more “disaster resistant” through program grants, matching funds, and public-private partnerships.
Bush 43’s presidency zero-budgeted Project Impact upon entering the White House in 2001 and the effort was allowed to expire (appropriations were actually quite small, never exceeding $25 million a year during its brief existence). Had that not happened, the project would likely have “run aground” anyway because of the political unwillingness to address land-use issues, whether for fear of alienating the so-called “property rights” movement or running afoul of the judiciary on 5th Amendment “takings” issues. In any event, FEMA was absorbed into Homeland Security after 9/11, Congress and the president, in effect, reviving “civil defense,” this time against “terrorist attacks.” Bush also renewed use of the agency as a place to house “political hack” appointments. Emergency managers throughout the country claim that the current administration has weakened FEMA, therefore, it contributed to the disorganized and ineffectual response to Hurricane Katrina. No doubt true, but the agency’s 2004 pre-and-post-storm Florida activities (class and racial biases notwithstanding) positioned disaster response equipment, personnel, and supplies across the state in sharp contrast to what happened along the Gulf Coast and New Orleans in 2005. Might the difference have been a governor in the former circumstance who happened to be the president’s brother? Or was it “battleground” electoral politics in the “sunshine”‘ state? Conversely, could the disparity really have been the presence of a “blue” city in a “red” region in the latter instance?
U.S. federalism has produced intergovernmental “disaster management” that relies upon both informed state and local government risk assessment, disaster mitigation, and crisis preparation and federal administrative support, technical assistance, and resource mobilization. Therefore, the inability of one level of government to transition from routine public service to emergency relief inhibits the capacity of other levels of government to function in supportive roles. System failure often results from breakdown in the process of interdependent communication and action, particularly when and where geographic and demographic redistribution of resources is most needed. While such catastrophes are no longer understood to be “untreatable acts of god” that can only be lamented, they are yet to be fully recognized as events caused and exacerbated by the convergence of natural hazards, economic relations, and social structures.
Further Reading
Barnett, Barry. 1999. “US Government Natural Disaster Assistance: Historical Analysis and Proposal for the Future.” Disasters 23.2: 139-155.
FEMA History. 2004.
+++
(1)
This record from the Materials Project describes a relaxed structure of Li2V5NiO12. The functional is PBE with a Hubbard U.

POSCAR file:
```
Li2V5NiO12
1.0
5.445 -4.305 0.000
5.445 4.305 0.000
-2.169 0.000 5.164
Li V Ni O
2 5 1 12
direct
0.000 0.000 0.000
0.542 0.458 0.500
0.081 0.346 0.509
0.357 0.643 0.000
0.437 0.110 0.953
0.654 0.919 0.491
0.890 0.563 0.047
0.184 0.816 0.500
0.087 0.734 0.103
0.226 0.116 0.561
0.251 0.528 0.604
0.266 0.913 0.897
0.367 0.395 0.061
0.472 0.749 0.396
0.583 0.110 0.328
0.605 0.633 0.939
0.688 0.028 0.826
0.884 0.774 0.439
0.890 0.417 0.672
0.972 0.312 0.174
```

Values from the calculation:
Space-group type: C2
Total magnetization: 6.97 μB per cell
Formation energy from the elements: -2301 meV per atom
Relative energy among the computed polymorphs: 0.00 eV per formula unit
Total energy after the MP2020 corrections: -0.295 hartree per atom
VASP energy: -7.057 eV per atom

---

(2)
This record from the Materials Project describes a relaxed structure of BaSr7V8Si16O56. The functional is PBE with a Hubbard U.

POSCAR file:
```
BaSr7V8Si16O56
1.0
7.932 0.000 0.000
0.000 14.242 0.000
-3.661 0.000 10.134
Ba Sr V Si O
1 7 8 16 56
direct
0.000 0.000 0.000
0.817 0.250 0.204
0.817 0.250 0.704
0.817 0.750 0.204
0.817 0.750 0.704
0.997 0.000 0.499
0.997 0.500 0.499
0.997 0.500 0.999
0.191 0.250 0.548
0.191 0.750 0.548
0.192 0.252 0.048
0.192 0.748 0.048
0.621 0.000 0.655
0.623 0.000 0.156
0.623 0.500 0.656
0.624 0.500 0.156
0.192 0.114 0.796
0.192 0.886 0.796
0.193 0.387 0.298
0.193 0.387 0.798
0.193 0.613 0.298
0.193 0.613 0.798
0.194 0.114 0.300
0.194 0.886 0.300
0.620 0.138 0.905
0.620 0.862 0.905
0.622 0.363 0.405
0.622 0.363 0.905
0.622 0.637 0.405
0.622 0.637 0.905
0.623 0.137 0.406
0.623 0.863 0.406
0.101 0.155 0.648
0.101 0.845 0.648
0.102 0.155 0.402
0.102 0.345 0.401
0.102 0.345 0.650
0.102 0.346 0.149
0.102 0.346 0.902
0.102 0.654 0.149
0.102 0.654 0.902
0.102 0.655 0.401
0.102 0.655 0.650
0.102 0.845 0.402
0.103 0.159 0.898
0.103 0.841 0.898
0.104 0.159 0.154
0.104 0.841 0.154
0.134 0.500 0.285
0.134 0.500 0.782
0.136 0.000 0.782
0.137 0.000 0.286
0.401 0.000 0.599
0.403 0.000 0.101
0.403 0.500 0.101
0.403 0.500 0.601
0.406 0.125 0.851
0.406 0.875 0.851
0.407 0.375 0.352
0.407 0.375 0.852
0.407 0.625 0.352
0.407 0.625 0.852
0.408 0.125 0.353
0.408 0.875 0.353
0.412 0.250 0.603
0.412 0.750 0.603
0.413 0.251 0.103
0.413 0.749 0.103
0.680 0.250 0.920
0.680 0.750 0.920
0.681 0.250 0.420
0.681 0.750 0.420
0.708 0.096 0.053
0.708 0.096 0.800
0.708 0.904 0.053
0.708 0.904 0.800
0.713 0.095 0.303
0.713 0.095 0.554
0.713 0.405 0.054
0.713 0.405 0.303
0.713 0.405 0.554
0.713 0.405 0.802
0.713 0.595 0.054
0.713 0.595 0.303
0.713 0.595 0.554
0.713 0.595 0.802
0.713 0.905 0.303
0.713 0.905 0.554
```

Values from the calculation:
Space-group type: Pm
Total magnetization: 0.06 μB per cell
Formation energy from the elements: -3132 meV per atom
Total energy after the MP2020 corrections: -0.303 hartree per atom
+++
Platt, Rutherford. 1999. Democracy and Disaster: The Politics of Extreme Natural Events: Island Press.
Pocock, Emil (ed.). Disasters in the United States, 1650-2005.
Steinberg, Ted. 2000. Acts of God: The Unnatural History of Natural Disaster in America: Oxford University Press.
Wisner, Ben, et al. 2004. At Risk: Natural Hazards, People’s Vulnerability, and Disasters, 2nd ed: Routledge.
Michael Hoover is a professor of political science at Seminole Community College. Hoover co-authored City on Fire: Hong Kong Cinema. with Lisa Odham Stokes. Hoover serves on the editorial board of New Political Science, journal of the caucus for a new political science.